What to do =
Filter the listing below: keep the lines with the word "mmm".

Data =
Structure and theoretical PXRD pattern of ZnCd3Rh4 (a structure optimized by DFT (PBE); Cu Kα (weighted mean of Kα1 and Kα2)).
Kinematic intensities with the Lorentz-polarization factor, no thermal factor.

Top 10 peaks for 10 to 90 degrees two-theta, in order of rising 2θ:
35.23 deg, d = 2.548 Å, rel. 5, hkl 1 0 3; 39.81 deg, d = 2.265 Å, rel. 100, hkl 1 0 4; 40.63 deg, d = 2.220 Å, rel. 51, hkl 1 1 0; 56.28 deg, d = 1.635 Å, rel. 7, hkl 0 0 8; 58.82 deg, d = 1.570 Å, rel. 16, hkl 2 0 0; 65.27 deg, d = 1.429 Å, rel. 3, hkl 1 1 7; 71.70 deg, d = 1.316 Å, rel. 13, hkl 1 1 8; 73.38 deg, d = 1.290 Å, rel. 31, hkl 2 1 4; 85.82 deg, d = 1.132 Å, rel. 8, hkl 2 0 8; 87.96 deg, d = 1.110 Å, rel. 5, hkl 2 2 0

Cell: 3.1400 3.1400 13.0765 Å, 90.00 90.00 90.00°
Space group P4/mmm (No. 123)
Asymmetric unit:
Zn (0.0000, 0.0000, 0.0000) x1
Cd (0.0000, 0.0000, 0.2405) x2
Cd (0.0000, 0.0000, 0.5000) x1
Rh (0.5000, 0.5000, 0.1075) x2

Completed =
Space group P4/mmm (No. 123)